**To do:**
Now start at the top of the calculation results further down and duplicate each line, ending with the one that has "39.74".

**Excerpt:**
<<<
Simulated X-ray diffraction stick pattern
Compound: Np4SeS6
Radiation: copper Kα
Structure: a structure optimized by DFT (GGA-PBE)
Kinematic intensities with the Lorentz-polarization factor, no thermal factor.

Peak list (10 most intense, 15 to 90 degrees two-theta, by intensity)
Position (°2θ)  d/Å  I_rel  hkl
24.93  3.572  100  2 2 -1
24.40  3.647  70  0 2 1
43.30  2.090  55  2 2 -3
24.80  3.590  33  2 0 0
34.71  2.585  25  0 0 2
34.86  2.574  25  0 4 0
40.37  2.234  20  4 2 -2
17.88  4.962  20  2 0 -1
43.12  2.098  19  2 2 1
44.06  2.055  18  4 2 -1

Structural model:
Lattice parameters (Å, degrees): 9.924 10.295 7.146 90.00 133.66 90.00
Space group Cm (No. 8)
Asymmetric unit:
Np  0.000  0.000  0.000 x2
Np  0.037  0.500  0.078 x2
Np  0.463  0.269  0.539 x4
Se  0.364  0.000  0.536 x2
S  0.124  0.250  0.041 x4
S  0.169  0.000  0.822 x2
S  0.206  0.354  0.543 x4
S  0.382  0.500  0.246 x2



Simulated X-ray diffraction stick pattern
Compound: SmNpS4
Radiation: copper Kα
Structure: a structure optimized by DFT (GGA-PBE)
Kinematic intensities with the Lorentz-polarization factor, no thermal factor.

Peak list (10 most intense, 15 to 90 degrees two-theta, by intensity)
Position (°2θ)  d/Å  I_rel  hkl
25.78  3.456  100  1 1 1
19.75  4.495  69  0 2 0
20.06  4.425  62  2 0 0
38.48  2.339  57  1 3 1
48.57  1.875  52  3 3 1
38.82  2.320  50  3 1 1
28.30  3.153  27  2 2 0
65.21  1.431  19  5 3 1
64.80  1.439  17  3 5 1
40.78  2.213  15  4 0 0

Structural model:
Lattice parameters (Å, degrees): 8.851 8.990 4.132 90.00 90.00 90.00
Space group Cmmm (No. 65)
Asymmetric unit:
Sm  0.000  0.000  0.000 x2
Np  0.000  0.500  0.500 x2
S  0.000  0.316  0.000 x4
S  0.208  0.000  0.500 x4



Simulated X-ray diffraction stick pattern
Compound: SrNpS3
Radiation: copper Kα
Structure: a structure optimized by DFT (GGA-PBE)
Kinematic intensities with the Lorentz-polarization factor, no thermal factor.

Peak list (10 most intense, 15 to 90 degrees two-theta, by intensity)
Position (°2θ)  d/Å  I_rel  hkl
22.18  4.007  100  1 1 1
25.41  3.505  49  4 0 0
23.85  3.731  44  2 0 -2
27.19  3.280  35  3 1 -1
39.74  2.268  35  5 1 1
35.60  2.522  31  0 2 0
37.66  2.388  31  1 1 -3
18.70  4.746  31  1 1 0
44.24  2.047  22  4 2 0
43.30  2.089  19  2 2 -2

Structural model:
Lattice parameters (Å, degrees): 14.164 5.044 8.146 90.00 98.16 90.00
Space group C2/m (No. 12)
Asymmetric unit:
Sr  0.137  0.000  0.366 x4
Np  0.133  0.500  0.916 x4
S  0.054  0.500  0.197 x4
S  0.159  0.500  0.605 x4
S  0.171  0.000  0.990 x4



Simulated X-ray diffraction stick pattern
Compound: Sr2Np4S9
Radiation: copper Kα
Structure: a structure optimized by DFT (GGA-PBE)
Kinematic intensities with the Lorentz-polarization factor, no thermal factor.

Peak list (10 most intense, 15 to 90 degrees two-theta, by intensity)
Position (°2θ)  d/Å  I_rel  hkl
25.11  3.547  100  1 1 0
23.67  3.759  95  0 1 4
38.09  2.363  77  2 -1 6
43.37  2.086  47  3 -2 4
34.78  2.580  45  2 0 4
44.23  2.048  43  3 0 0
17.19  5.159  42  1 0 2
50.25  1.816  24  0 1 10
63.23  1.471  20  1 2 10
59.76  1.547  19  2 2 6

Structural model:
Lattice parameters (Å, degrees): 7.0935 7.0935 19.0064 90.00 90.00 120.00
Space group P-3 (No. 147)
Asymmetric unit:
Sr  0.0000  0.0000  0.1442 x2
Sr  0.0000  0.0000  0.3554 x2
Np  0.3333  0.6667  0.1834 x2
Np  0.3333  0.6667  0.4873 x2
Np  0.3333  0.6667  0.6864 x2
Np  0.3333  0.6667  0.9853 x2
S  0.0008  0.3201  0.2493 x6
S  0.0296  0.3997  0.5821 x6
S  0.0327  0.6329  0.0816 x6



Simulated X-ray diffraction stick pattern
Compound: Sr2YNpS6
Radiation: copper Kα
Structure: a structure optimized by DFT (GGA-PBE)
Kinematic intensities with the Lorentz-polarization factor, no thermal factor.

Peak list (10 most intense, 15 to 90 degrees two-theta, by intensity)
Position (°2θ)  d/Å  I_rel  hkl
24.87  3.579  100  1 1 1
17.51  5.066  39  1 1 -1
44.76  2.025  34  3 1 -1
35.41  2.535  29  2 2 -2
25.65  3.473  24  2 0 -2
23.99  3.710  22  0 2 0
39.75  2.268  21  2 2 0
35.52  2.527  20  0 0 4
>>>

**Reply:**
Simulated X-ray diffraction stick pattern
Compound: Np4SeS6
Radiation: copper Kα
Structure: a structure optimized by DFT (GGA-PBE)
Kinematic intensities with the Lorentz-polarization factor, no thermal factor.

Peak list (10 most intense, 15 to 90 degrees two-theta, by intensity)
Position (°2θ)  d/Å  I_rel  hkl
24.93  3.572  100  2 2 -1
24.40  3.647  70  0 2 1
43.30  2.090  55  2 2 -3
24.80  3.590  33  2 0 0
34.71  2.585  25  0 0 2
34.86  2.574  25  0 4 0
40.37  2.234  20  4 2 -2
17.88  4.962  20  2 0 -1
43.12  2.098  19  2 2 1
44.06  2.055  18  4 2 -1

Structural model:
Lattice parameters (Å, degrees): 9.924 10.295 7.146 90.00 133.66 90.00
Space group Cm (No. 8)
Asymmetric unit:
Np  0.000  0.000  0.000 x2
Np  0.037  0.500  0.078 x2
Np  0.463  0.269  0.539 x4
Se  0.364  0.000  0.536 x2
S  0.124  0.250  0.041 x4
S  0.169  0.000  0.822 x2
S  0.206  0.354  0.543 x4
S  0.382  0.500  0.246 x2



Simulated X-ray diffraction stick pattern
Compound: SmNpS4
Radiation: copper Kα
Structure: a structure optimized by DFT (GGA-PBE)
Kinematic intensities with the Lorentz-polarization factor, no thermal factor.

Peak list (10 most intense, 15 to 90 degrees two-theta, by intensity)
Position (°2θ)  d/Å  I_rel  hkl
25.78  3.456  100  1 1 1
19.75  4.495  69  0 2 0
20.06  4.425  62  2 0 0
38.48  2.339  57  1 3 1
48.57  1.875  52  3 3 1
38.82  2.320  50  3 1 1
28.30  3.153  27  2 2 0
65.21  1.431  19  5 3 1
64.80  1.439  17  3 5 1
40.78  2.213  15  4 0 0

Structural model:
Lattice parameters (Å, degrees): 8.851 8.990 4.132 90.00 90.00 90.00
Space group Cmmm (No. 65)
Asymmetric unit:
Sm  0.000  0.000  0.000 x2
Np  0.000  0.500  0.500 x2
S  0.000  0.316  0.000 x4
S  0.208  0.000  0.500 x4



Simulated X-ray diffraction stick pattern
Compound: SrNpS3
Radiation: copper Kα
Structure: a structure optimized by DFT (GGA-PBE)
Kinematic intensities with the Lorentz-polarization factor, no thermal factor.

Peak list (10 most intense, 15 to 90 degrees two-theta, by intensity)
Position (°2θ)  d/Å  I_rel  hkl
22.18  4.007  100  1 1 1
25.41  3.505  49  4 0 0
23.85  3.731  44  2 0 -2
27.19  3.280  35  3 1 -1
39.74  2.268  35  5 1 1